26 Jul Art of storytelling to young children
[The piece is interrupted by calculated molecules]
'''
Formula: C14H38LiN2O6
Source: the Open Molecules 2025 dataset
Level of theory: wB97M-V/def2-TZVPD

Calculated values
- HOMO: -11.480 eV
- ΔE to the lowest compared entry with this formula, charge and spin: 75.6 kJ/mol
- Kohn-Sham gap: 9.295 eV
- F_max: 9.08 eV/Å
- Energy: -1124.17586 Ha
- Total charge: +1
- E_LUMO: -2.1847 eV

Element x y z (Å)
Li: 0.4037 1.1413 -1.2592
C: -1.7893 1.1823 -3.5382
O: -0.4583 1.7073 -3.0772
H: -2.5483 1.3603 -2.7782
H: -1.7623 0.1463 -3.5562
H: -2.0793 1.6683 -4.5052
H: -0.2043 2.1583 -3.9582
C: -2.4063 0.6933 -0.0172
O: -1.0383 0.9363 0.2898
H: -2.7713 -0.1557 -0.7352
H: -2.7883 1.6713 -0.1822
H: -2.8003 0.5003 1.1718
H: -0.8283 1.3343 1.0368
C: -0.3073 -1.9197 -2.5362
O: 0.5827 -0.9137 -1.9572
C: 1.9847 -1.2837 -1.9522
C: 2.9147 -0.1337 -1.6482
N: 2.1907 0.5753 -0.6222
C: 2.7347 1.7723 0.0138
C: 2.3737 2.9993 -0.7562
O: 0.9327 2.9963 -0.7522
C: 0.3177 4.1073 -1.2952
H: -0.1873 -2.9507 -2.1422
H: -0.1103 -2.0697 -3.4382
H: -1.3893 -1.7397 -2.4682
H: 2.1997 -1.7257 -2.9372
H: 2.3157 -2.1957 -1.5142
H: 3.1017 0.5473 -2.4662
H: 3.9637 -0.3447 -1.1672
H: 2.0377 0.0083 0.1428
H: 3.8457 1.5243 -0.0972
H: 2.5387 1.6343 1.0028
H: 2.7587 2.9833 -1.8592
H: 2.7347 3.9083 -0.4392
H: 0.7207 4.2363 -2.4442
H: 0.4747 5.0953 -0.8232
H: -0.7223 3.9593 -1.2892
C: -3.8323 0.5423 5.2658
O: -3.0143 0.5503 4.1248
C: -1.9043 -0.3937 4.1028
C: -1.4063 -0.3417 2.6598
N: -0.3423 -1.2287 2.4848
C: 0.0037 -1.5237 1.0408
C: 0.8267 -2.7047 0.9518
O: 1.2327 -3.0217 -0.3332
C: 2.0897 -4.0577 -0.6802
H: -3.3223 0.6823 6.3528
H: -4.5183 -0.2447 5.1058
H: -4.4403 1.4513 5.0898
H: -2.3033 -1.3717 4.2678
H: -1.2223 0.1313 4.8578
H: -0.9683 0.6043 2.3918
H: -2.2003 -0.5657 1.9128
H: -0.5133 -2.1287 2.7348
H: 0.5187 -0.7247 0.6088
H: -0.9763 -1.7227 0.6018
H: 0.5767 -3.7017 1.4018
H: 1.7967 -2.7217 1.5458
H: 1.6287 -4.9947 -0.2362
H: 2.9857 -3.9957 -0.0602
H: 2.3667 -3.9307 -1.6352

Force components x, y, z for each atom (eV/Å):
-0.694 -0.214 -0.204
0.330 2.159 0.588
-1.295 0.675 -3.272
0.065 0.733 0.012
0.450 -1.983 -0.787
0.235 -0.669 0.929
0.187 -0.892 2.604
-1.791 -0.228 4.869
0.320 -3.601 -8.325
1.603 1.622 1.344
-1.027 0.488 -1.150
-0.234 0.367 -4.111
0.465 2.970 5.131
-0.920 -0.167 7.220
-0.216 -0.834 0.495
0.925 -1.114 -3.646
1.104 0.668 1.719
-1.298 2.180 -0.474
4.174 -1.597 -3.936
-1.240 -1.347 -2.396
0.706 -0.299 0.741
1.785 1.743 -3.399
0.189 0.831 0.668
1.897 -0.498 -8.217
0.545 0.824 0.523
-0.047 1.064 -0.898
-0.500 0.777 1.557
-0.107 0.064 -0.459
-1.597 -0.562 -1.328
-0.408 -2.023 1.380
-0.688 1.344 0.526
-0.936 0.856 2.883
-0.684 -0.500 1.587
0.844 2.021 1.462
-1.176 -0.165 2.502
0.517 -0.633 0.293
-1.330 -0.445 -0.242
0.477 2.318 0.995
1.109 -0.306 -0.513
-0.723 3.471 -0.079
-0.463 -0.237 0.499
3.633 0.410 -2.356
-2.252 0.265 2.165
4.475 -4.958 1.884
-1.909 1.079 -1.468
-1.225 -1.475 6.714
-0.908 -0.809 -2.605
-0.693 -1.404 0.967
0.216 -0.289 0.564
0.234 -0.852 0.853
'''
If someone would ask me what is the most important thing for the proper development of a child I would say – the heart of childhood beats in the rhythm of a story. Of course, there are basic things like healthy food, free play, and movement, outdoor time, enough sleep, etc. Those things nourish the body of a child, but listening to the story nourishes its spirit. Especially when heard from a person that child loves the most, like the parent or a grandparent, told with love and relevant emotion. The child learns essential things about life through the story: what is valuable and important, what to accept and what to avoid, what are the relationships among different kinds of people, what is the inner dynamic of problem-solving situations in our lives. If we want to tell these truths to the child as direct instruction it will be not so effective as if we tell it through the story. Why is it so?
Calculated molecules, kept here for reference:
1.
Children perceive the world differently than adults. Their cognitive abilities and reasoning are not fully developed, and they are not able to understand the ideas in their abstract form. Their state of consciousness is sensory– they perceive the world around them through the senses. Their understanding is pictorial – they perceive abstract ideas through the pictures. Stories contain an abundance of pictures that help a child to understand the idea behind it. If we can talk to a child in this mood for the first 6-7 years of his/her life, our parenting and teaching would be much more effective and pleasurable. It requires some creativity and patience from our side, and parenting is a wonderful opportunity to develop these qualities if we do not have them already. That’s why storytelling is a very important skill for parents and teachers to work on it. And the best thing is that stories not only nourish those who listen to them, but also those who narrate them. By narrating stories, especially spiritual stories, we come in direct touch with the wisdom present in them, witnessing how the same wisdom has been transferred to the child in front of us.
As devotees of Krishna, we have an access to so many stories with spiritual messages and power. It is a true goldmine of spiritual heritage and tradition, and we should use its richness to nourish our child’s spiritual life from the beginning. When we sit down with the small child in an informal setting and present the story from Srimad Bhagavatam, or some other spiritual source, either by reading it, narrating it, or creating a visual effect with the puppets or hand gestures, it is of the same quality as the formal Bhagavatam lecture to adults. Because we are in the process of transmitting the wisdom and knowledge to the child, in a way suitable for it. In addressing adults we talk about philosophy directly, and in addressing children we create the pictures with our words to present some philosophical truth. Stories that children hear continue to live in their imagination. There is no sharp border between the child’s imagination and the real world that the child perceives – this border gradually develops during the early grades of school years. Having that in mind, telling the story to a child is the same as planting the seed into fertile land – the seed is going to grow in the heart of a child and over time bring the fruits of wisdom that story contains.
Dear parents and caretakers, you can become the gardeners of the gentle hearts of your children by adopting this simple task of spiritual storytelling. You do not need to become a professional storyteller, nor you need any expensive tools or resources. It is enough to be present in the story with your full attention and emotion, and your child will be there absorbing every word you say. Let the wings of your creativity grow and embrace your child with a gentle touch of love and wisdom, nurturing the seed of devotion in their hearts. Someone said that no richness in this world can replace someone who was telling you the stories through childhood… Be sure that your child will cherish this gift for many years to come.
<<<
Entry from OMol25: a structure of composition C29H34BrN7O2ReSSi in a non-equilibrium geometry (ωB97M-V with the def2-TZVPD basis set).

Results
* E_tot: -4998.74165 hartree
* charge: +2
* energy above the lowest of the compared OMol25 structures with the same formula, charge and spin: 30.7 kcal per mole
* spin multiplicity: 4
* ⟨S²⟩: 3.790
* E_HOMO (spin up / spin down): -0.4737 / -0.4758 hartree

Geometry as XYZ:
```
76
Properties=species:S:1:pos:R:3:forces:R:3:lowdin_spin:R:1
Re 0.899725 0.326610 -0.713080 -0.5 -2.8 -0.2 1.605
Br -5.715813 3.763652 5.317219 0.1 0.1 -0.2 0.027
C -4.973393 4.457521 3.740455 -0.1 0.0 0.0 0.066
C -5.787492 5.135441 2.833362 -0.1 -0.1 0.2 -0.010
C -5.241303 5.640251 1.677782 0.3 0.1 -0.3 0.050
C -3.875284 5.446195 1.404356 -0.2 -0.5 1.0 0.036
C -3.054201 4.780581 2.340398 0.0 0.2 -0.3 0.050
C -3.606268 4.294244 3.498694 0.0 -0.1 0.1 -0.003
N -3.371676 5.995918 0.265641 0.1 0.5 -0.7 0.314
N -2.317742 5.912441 -0.317843 -0.3 0.4 0.1 0.268
C -1.475100 4.937074 -0.678933 0.4 -0.6 -0.1 0.063
C -0.182578 5.341259 -1.072810 -0.3 0.1 0.1 0.038
C 0.824450 4.442113 -1.320417 0.3 -0.3 -0.2 0.011
C 0.571815 3.069006 -1.216775 -0.4 0.4 0.2 0.052
O 1.466262 2.144237 -1.369476 0.2 0.3 0.0 0.080
C -0.770281 2.631073 -0.916130 -0.2 0.3 0.0 0.012
N -0.937032 1.277400 -0.906893 -0.8 0.4 -0.2 0.017
C -2.169844 0.799735 -0.804730 0.1 -0.1 0.0 0.001
C -3.276342 1.632032 -0.633900 0.0 0.3 0.1 0.006
C -3.108080 2.994805 -0.552362 -0.1 -0.2 -0.1 -0.001
C -1.817562 3.532336 -0.693483 0.2 0.0 0.0 0.021
H -6.837716 5.272899 3.048228 0.0 0.0 0.0 -0.002
H -5.842696 6.179231 0.957543 0.0 0.0 0.0 0.002
H -1.993756 4.678775 2.146454 0.0 0.0 0.1 0.002
H -2.990123 3.792546 4.231745 0.0 0.0 0.0 -0.001
H 0.006191 6.405275 -1.137741 0.0 0.0 0.0 0.002
H 1.817740 4.774946 -1.586841 0.0 0.0 0.0 0.000
H -2.275129 -0.272907 -0.876513 0.0 0.0 0.1 0.000
H -4.259866 1.192413 -0.549232 0.0 0.0 -0.1 0.001
H -3.967506 3.638010 -0.429870 0.0 0.0 0.0 0.000
N 8.273655 0.822456 -0.042689 -0.1 0.0 0.0 0.008
C 7.135865 0.710585 -0.147858 0.3 0.1 0.0 0.001
C 5.721172 0.544541 -0.276685 -0.4 -0.1 -0.1 0.015
C 4.920826 0.359416 0.850660 0.1 0.0 -0.1 -0.003
C 3.569787 0.159872 0.676748 0.0 -0.1 0.1 0.019
N 2.979771 0.130403 -0.532876 0.8 0.0 0.3 0.010
C 3.754116 0.328102 -1.613375 0.0 -0.2 -0.1 0.021
C 5.114252 0.539594 -1.530191 0.2 0.0 0.1 -0.004
H 5.347286 0.383102 1.843206 0.0 -0.1 0.0 0.000
H 2.924097 0.001086 1.532924 0.0 0.1 0.0 0.002
H 3.258424 0.302073 -2.574348 0.0 0.0 0.0 0.003
H 5.695475 0.706953 -2.425398 0.0 -0.1 0.0 -0.001
C -2.275039 -1.113734 2.191900 0.2 -0.1 -0.2 0.002
Si -1.135125 -2.033856 0.995064 -0.7 -0.8 0.3 0.022
C -2.169322 -2.760985 -0.428912 0.2 0.3 0.3 0.005
C -0.368697 -3.533954 1.843585 -0.1 0.5 -0.1 0.003
O 0.048135 -1.021071 0.489031 1.1 1.2 -0.4 0.175
H -2.507104 -1.752958 3.045376 0.0 0.0 0.0 0.000
H -3.223708 -0.840629 1.725430 0.0 0.0 0.0 0.000
H -1.806808 -0.205086 2.575429 0.0 0.0 0.0 0.000
>>>
Posted at 21:09h, 07 SeptemberSphr99@gmail.com